What Is Law?

Law is a set of rules created and enforced by social or governmental institutions to regulate behavior. Its precise definition is a matter of longstanding debate. It has been variously described as a science and as the art of justice. It encompasses a wide range of topics including property law (which establishes people’s rights and duties toward tangible objects, such as cars and houses); contract law (which governs agreements between individuals or businesses to exchange goods or services); criminal law; constitutional law (which governs the structure and functions of government); and family law.

These data records were left in the page by mistake.
____________
1.
# GGA-PBE Ce3NdPa2N6, relaxed
# Total magnetic moment in μB/f.u.: 0.00
# ΔE_f (raw) in meV per atom: -1568
data_Ce3NdPa2N6
_space_group_name_H-M_alt 'P 1'
_space_group_IT_number 1
_cell_length_a 6.1618
_cell_length_b 6.1618
_cell_length_c 6.1754
_cell_angle_alpha 99.60
_cell_angle_beta 99.60
_cell_angle_gamma 119.95
loop_
_space_group_symop_operation_xyz
'x,y,z'
loop_
_atom_site_label
_atom_site_type_symbol
_atom_site_fract_x
_atom_site_fract_y
_atom_site_fract_z
Ce1 Ce 0.5000 0.5000 0.5000
Ce2 Ce 0.8349 0.1651 0.5000
Ce3 Ce 0.1651 0.8349 0.5000
Nd1 Nd 0.0000 0.0000 0.0000
N1 N 0.5672 0.9217 0.7663
N2 N 0.0783 0.4328 0.2337
N3 N 0.9217 0.5672 0.7663
N4 N 0.7219 0.7219 0.2306
N5 N 0.4328 0.0783 0.2337
N6 N 0.2781 0.2781 0.7694
Pa1 Pa 0.6669 0.3331 0.0000
Pa2 Pa 0.3331 0.6669 0.0000


2.
# GGA-PBE CeNd3Pa2N6, relaxed
# Total magnetic moment in μB/f.u.: 0.00
# ΔE_f (raw) in meV per atom: -1557
data_CeNd3Pa2N6
_space_group_name_H-M_alt 'P 1'
_space_group_IT_number 1
_cell_length_a 6.2016
_cell_length_b 6.2016
_cell_length_c 6.2154
_cell_angle_alpha 99.57
_cell_angle_beta 99.57
_cell_angle_gamma 119.99
loop_
_space_group_symop_operation_xyz
'x,y,z'
loop_
_atom_site_label
_atom_site_type_symbol
_atom_site_fract_x
_atom_site_fract_y
_atom_site_fract_z
Ce1 Ce 0.0000 0.0000 0.0000
Nd1 Nd 0.8347 0.1653 0.5000
Nd2 Nd 0.5000 0.5000 0.5000
Nd3 Nd 0.1653 0.8347 0.5000
N1 N 0.9273 0.5802 0.7825
N2 N 0.2755 0.2755 0.7846
N3 N 0.7245 0.7245 0.2154
N4 N 0.4198 0.0727 0.2175
N5 N 0.0727 0.4198 0.2175
N6 N 0.5802 0.9273 0.7825
Pa1 Pa 0.6669 0.3331 0.0000
Pa2 Pa 0.3331 0.6669 0.0000


3.
# GGA-PBE Ce2Nd3PaN6, relaxed
# Total magnetic moment in μB/f.u.: 0.00
# ΔE_f (raw) in meV per atom: -1517
data_Ce2Nd3PaN6
_space_group_name_H-M_alt 'P 1'
_space_group_IT_number 1
_cell_length_a 6.2223
_cell_length_b 6.2223
_cell_length_c 6.2299
_cell_angle_alpha 99.58
_cell_angle_beta 99.58
_cell_angle_gamma 119.98
loop_
_space_group_symop_operation_xyz
'x,y,z'
loop_
_atom_site_label
_atom_site_type_symbol
_atom_site_fract_x
_atom_site_fract_y
_atom_site_fract_z
Nd1 Nd 0.5000 0.5000 0.5000
Nd2 Nd 0.1677 0.8323 0.5000
Nd3 Nd 0.8323 0.1677 0.5000
Ce1 Ce 0.6664 0.3336 0.0000
Ce2 Ce 0.3336 0.6664 0.0000
N1 N 0.9251 0.6064 0.7752
N2 N 0.0749 0.3936 0.2248
N3 N 0.7569 0.7569 0.2268
N4 N 0.2431 0.2431 0.7732
N5 N 0.6064 0.9251 0.7752
N6 N 0.3936 0.0749 0.2248
Pa1 Pa 0.0000 0.0000 0.0000


4.
# GGA-PBE CeNd2PaN4, relaxed
# Total magnetic moment in μB/f.u.: 0.00
____________

Whether or not a particular rule is “law” often depends on who sets it and enforces it. For example, if a tyrant creates and enforces arbitrary laws, these are considered law because the tyrant has the power to punish anyone who disobeys them. This is a form of law known as sovereign power, and its legitimacy is often disputed. Some scholars believe that a legal system is only truly legitimate if its sovereign power is limited by other constraints, such as checks and balances.

Another important factor is that of reasonableness. If a person believes a law is unreasonable, then they may refuse to comply with it. However, it is often difficult to determine what is and is not reasonable. The legal field is constantly wrestling with the question of how much power should be left to judges when deciding what counts as a “reasonable” law.

The meaning of the word ‘law’ can also be affected by how it is used. For example, Zola dreams of a career in the law, but she’s not sure she’d be happy with it as a job if everyone could see her studying for exams in public places. This is an example of law being used for private gain rather than for the benefit of the public.

In some countries, the word ‘law’ refers to a system of laws that is enforceable by a central authority and can include civil and criminal punishments. These laws are usually written down as statutes or common law and establish the rights and responsibilities of individuals within society. In other countries, the law is less formalized and includes codes and the decisions of judges in court cases. The way in which these laws are interpreted is known as procedural law.

(Misplaced materials data)
/*
# AcLaTePb, optimized geometry, DFT PBE
data_AcLaTePb
_symmetry_space_group_name_H-M 'P 1'
_symmetry_Int_Tables_number 1
_symmetry_space_group_name_Hall 'P 1'
_cell_length_a 8.179
_cell_length_b 8.179
_cell_length_c 8.179
_cell_angle_alpha 33.80
_cell_angle_beta 33.80
_cell_angle_gamma 33.80
loop_
_atom_site_label
_atom_site_type_symbol
_atom_site_fract_x
_atom_site_fract_y
_atom_site_fract_z
_atom_site_occupancy
Ac1 Ac 0.000 0.000 0.000 1
La1 La 0.494 0.494 0.494 1
Te1 Te 0.244 0.244 0.244 1
Pb1 Pb 0.751 0.751 0.751 1
# E_tot, eV/atom: -5.052
# SG: R3m (160)
# Distance to the lowest polymorph of the same formula, eV/f.u.: 0.000
# Energy relative to the elements, uncorrected, eV/atom: -1.08

=====

# Ac3La3Tl2Pb, optimized geometry, DFT PBE
data_Ac3La3Tl2Pb
_symmetry_space_group_name_H-M 'P 1'
_symmetry_Int_Tables_number 1
_symmetry_space_group_name_Hall 'P 1'
_cell_length_a 9.135
_cell_length_b 9.135
_cell_length_c 4.564
_cell_angle_alpha 90.00
_cell_angle_beta 90.00
_cell_angle_gamma 120.00
loop_
_atom_site_label
_atom_site_type_symbol
_atom_site_fract_x
_atom_site_fract_y
_atom_site_fract_z
_atom_site_occupancy
Ac1 Ac 0.000 0.722 0.000 1
Ac2 Ac 0.278 0.278 0.000 1
Ac3 Ac 0.722 0.000 0.000 1
La1 La 0.000 0.399 0.500 1
La2 La 0.399 0.000 0.500 1
La3 La 0.601 0.601 0.500 1
Tl1 Tl 0.333 0.667 0.000 1
Tl2 Tl 0.667 0.333 0.000 1
Pb1 Pb 0.000 0.000 0.500 1
# E_tot, eV/atom: -4.236
# SG: P-62m (189)
# Energy of formation from the pure elements, eV/f.u.: -2.58

=====

# AcLaTmPb, optimized geometry, DFT PBE
data_AcLaTmPb
_symmetry_space_group_name_H-M 'P 1'
_symmetry_Int_Tables_number 1
_symmetry_space_group_name_Hall 'P 1'
_cell_length_a 5.709
_cell_length_b 5.709
_cell_length_c 5.709
_cell_angle_alpha 60.00
_cell_angle_beta 60.00
_cell_angle_gamma 60.00
loop_
_atom_site_label
_atom_site_type_symbol
_atom_site_fract_x
_atom_site_fract_y
_atom_site_fract_z
_atom_site_occupancy
Ac1 Ac 0.000 0.000 0.000 1
La1 La 0.750 0.750 0.750 1
Tm1 Tm 0.250 0.250 0.250 1
Pb1 Pb 0.500 0.500 0.500 1
# E_tot, eV/atom: -4.385
# SG: F-43m (216)
# Energy of formation from the pure elements, eV/f.u.: -0.33

=====

# Ac3LaPd8, optimized geometry, DFT PBE
data_Ac3LaPd8
_symmetry_space_group_name_H-M 'P 1'
_symmetry_Int_Tables_number 1
_symmetry_space_group_name_Hall 'P 1'
_cell_length_a 9.814
_cell_length_b 9.814
_cell_length_c 9.814
_cell_angle_alpha 33.49
_cell_angle_beta 33.49
_cell_angle_gamma 33.49
loop_
_atom_site_label
_atom_site_type_symbol
_atom_site_fract_x
_atom_site_fract_y
_atom_site_fract_z
_atom_site_occupancy
Ac1 Ac 0.000 0.000 0.000 1
Ac2 Ac 0.126 0.126 0.126 1
Ac3 Ac 0.622 0.622 0.622 1
La1 La 0.497 0.497 0.497 1
Pd1 Pd 0.061 0.061 0.561 1
Pd2 Pd 0.061 0.561 0.061 1
Pd3 Pd 0.062 0.562 0.562 1
Pd4 Pd 0.311 0.311 0.311 1
Pd5 Pd 0.561 0.061 0.061 1
Pd6 Pd 0.562 0.062 0.562 1
Pd7 Pd 0.562 0.562 0.062 1
Pd8 Pd 0.812 0.812 0.812 1
# E_tot, eV/atom: -5.668
# SG: R3m (160)
# Energy of formation from the pure elements, eV/f.u.: -9.22

~~~~~

[1]
*/
(The materials data stop here)

Some scholars, particularly utilitarian philosophers, argue that the purpose of law is to provide order in society and that coercion is an essential part of this function. Others, such as Jeremy Bentham and Jean-Jacques Rousseau, have argued that there are natural laws of morality that apply to all humans and should be reflected in the laws that govern us. This theory of law has not gained widespread acceptance, and the concept of natural law is largely ignored in modern legal thinking. Nevertheless, it is important for many people. This is because it is the basis of their sense of fairness and right and wrong.